Wanted >
Your job: search the block below for the word "calculation" and restate each line that has it.

File >
____________
The following is a GGA-PBE calculation of a relaxed IrOsW crystal, from the Materials Project.

Properties
The symmetry is F-43m (216). The electronic total energy comes out at -10.41 eV/atom. The value obtained for the theoretical density is 17.5 g/cm3.

a b c (Å): 4.238 4.238 4.238
angles (deg): 60.00 60.00 60.00
Element x y z (fractional)
Ir1 0.500 0.500 0.500
Os1 0.750 0.750 0.750
W1 0.000 0.000 0.000

----------

Entry from Materials Project: Li3Ti3VO8 after structural relaxation (PBE+U).

Geometry as POSCAR:
```
Li3Ti3VO8
1.0
6.0516 0.0000 0.0000
0.0000 5.9678 0.0000
-0.1810 0.0000 8.4452
Li Ti V O
6 6 2 16
Direct
0.0000 0.0000 0.0000 Li
0.2500 0.2499 0.2501 Li
0.2500 0.7501 0.2501 Li
0.5000 0.5000 0.5000 Li
0.7500 0.2499 0.7499 Li
0.7500 0.7501 0.7499 Li
0.0000 0.5000 0.5000 Ti
0.2497 0.2493 0.7493 Ti
0.2497 0.7507 0.7493 Ti
0.5000 0.0000 0.0000 Ti
0.7503 0.2493 0.2507 Ti
0.7503 0.7507 0.2507 Ti
0.0000 0.0000 0.5000 V
0.5000 0.5000 0.0000 V
0.0168 0.5000 0.7368 O
0.0176 0.0000 0.7514 O
0.2326 0.2663 0.5126 O
0.2326 0.7337 0.5126 O
0.2688 0.2342 0.9869 O
0.2688 0.7658 0.9869 O
0.4808 0.5000 0.7497 O
0.4832 0.0000 0.7631 O
0.5168 0.0000 0.2369 O
0.5192 0.5000 0.2503 O
0.7312 0.2342 0.0131 O
0.7312 0.7658 0.0131 O
0.7674 0.2663 0.4874 O
0.7674 0.7337 0.4874 O
0.9824 0.0000 0.2486 O
0.9832 0.5000 0.2632 O
```

Results
**Symmetry**: No. 10
**Formation energy from the elements**: -44.16 eV per formula unit
**Distance to the lowest polymorph of the same formula**: 0.0 meV/atom

----------

(1)
{
  "formula": "Eu2TeO2",
  "functional": "GGA-PBE",
  "state": "relaxed",
  "lattice": [[7.162, 1.303, 1.250], [4.795, -2.016, 5.244], [-5.292, -1.960, -4.765]],
  "species": ["Eu", "O", "Te", "Eu", "O"],
  "fractional_positions": [[0.332, 0.332, 0.000], [0.250, 0.750, 0.500], [0.000, 0.000, 0.000], [0.668, 0.668, 0.000], [0.750, 0.250, 0.500]],
  "sg": "I4/mmm, No. 139",
  "e_form_ev_per_fu": -13.2,
  "density_g_cm3": 6.94
}

***

(2)
{
  "formula": "Ca3SiBr2",
  "functional": "GGA-PBE",
  "state": "relaxed",
  "lattice": [[1.935, 9.658, -7.906], [-2.551, 9.341, -8.110], [-0.609, 11.673, -4.785]],
  "species": ["Ca", "Br", "Ca", "Ca", "Br", "Si"],
  "fractional_positions": [[0.132, 0.132, 0.132], [0.707, 0.707, 0.707], [0.868, 0.868, 0.868], [0.000, 0.000, 0.000], [0.293, 0.293, 0.293], [0.500, 0.500, 0.500]],
  "m_tot_mub_per_fu": 0.0,
  "sg": "R-3m, No. 166",
  "e_form_ev_per_fu": -7.4,
  "density_g_cm3": 2.36
}

***

(3)
{
  "formula": "NaMgInS3O12",
  "functional": "GGA-PBE",
  "state": "relaxed",
  "lattice": [[8.766, 0.000, 0.000], [-4.383, 7.592, 0.000], [0.000, 0.000, 23.145]],
  "species": ["O", "O", "O", "S", "O", "S", "Na", "O", "S", "O", "O", "O", "S", "O", "O", "O", "O", "O", "O", "O", "O", "O", "O", "O", "O", "O", "Mg", "O", "O", "O", "S", "O", "O", "O", "Mg", "O", "Mg", "O", "O", "O", "S", "S", "O", "Na", "In", "Mg", "S", "O", "O", "O", "O", "Na", "In", "O", "O", "O", "O", "S", "Na", "O", "O", "In", "O", "O", "O", "O", "O", "O", "O", "Na", "O", "O", "Mg", "O", "O", "O", "O", "O", "S", "S", "S", "O", "S", "S", "In", "S", "In", "O", "O", "O", "O", "O", "S", "S", "O", "O", "Na", "O", "O", "O", "Mg", "O", "O", "O", "In", "O", "S", "O"],
____________

Written answer >
The following is a GGA-PBE calculation of a relaxed IrOsW crystal, from the Materials Project.